## What to do
The reader should count the lines further down that contain the word "S²" and give the number alone.

## Data
A gas-phase ion, C3H10N2 (charge +1). Source: the Open Molecules 2025 dataset; level of theory: the ωB97M-V functional and the def2-TZVPD basis.

Last column: Mulliken spin population.
Atoms and positions in Å:
1 N 0.053396 1.499930 -1.847695  0.052
2 C -0.534156 0.417964 -1.133586  0.050
3 C 0.275543 0.115134 0.136731  0.023
4 C -0.434481 -0.728362 1.127877  0.007
5 N 0.670112 -1.077048 2.189324  0.854
6 H -0.598095 2.220183 -2.187168  0.001
7 H 0.395304 1.230320 -2.743906  0.001
8 H -1.649552 0.340067 -0.955286  0.003
9 H -0.362754 -0.633714 -1.625417  -0.002
10 H 0.351325 1.110584 0.581841  0.003
11 H 1.340488 0.026785 -0.134392  -0.008
12 H -1.216853 -0.245094 1.656042  0.026
13 H -0.810499 -1.684032 0.671638  0.018
14 H 1.577858 -0.515718 1.974002  -0.014
15 H 0.942369 -2.076996 2.289989  -0.016

Cartesian forces (eV/Å) of the 2 atoms listed first:
-1.128 1.037 -0.628
-0.674 -4.349 -1.150

The expectation value of S² is 0.76. The value obtained for the LUMO energy (alpha / beta) is -3.4 / -8.9 eV. As for the net charge: +1. Its spin multiplicity is 2. The value obtained for the frontier orbital gap (alpha / beta) is 10.386 / 4.631 eV.

=====

A molecular structure, C6H14BClO4PPt. Source: the Open Molecules 2025 dataset; level of theory: the ωB97M-V functional and the def2-TZVPD basis.

Last column: natural (NBO) charge in e.
Atoms and positions in Å:
1 O -1.081573 4.126264 0.641174  -0.725
2 C -1.508148 2.971760 1.356533  -0.055
3 C -0.260848 2.286361 1.888272  -0.408
4 C 0.397390 1.393312 0.819700  -0.420
5 C 1.219205 0.321999 1.510680  -0.343
6 B 1.299826 -1.022188 0.454466  0.597
7 O 2.056059 -0.854318 -0.701151  -0.581
8 C 1.133811 -0.781003 -1.767255  -0.114
9 C 0.004951 -1.715881 -1.248967  -0.243
10 P 0.420594 -3.507914 -1.809141  1.226
11 O 0.088073 -3.369554 -3.360403  -0.967
12 Cl -1.172707 -4.581647 -1.074361  -0.310
13 O 0.077636 -1.604001 0.115203  -0.502
14 H -1.747988 4.803364 0.716864  0.485
15 H -2.157046 3.255406 2.178622  0.189
16 H -2.052604 2.322535 0.673544  0.160
17 H -0.492987 1.734517 2.793255  0.218
18 H 0.429438 3.083315 2.141024  0.244
19 H -0.376749 1.008108 0.165204  0.222
20 H 1.068714 2.004280 0.226617  0.242
21 H 2.248765 0.623678 1.649571  0.258
22 H 0.798770 0.025064 2.460401  0.244
23 H 1.763243 -1.785512 1.346823  0.261
24 H 1.594362 -1.043808 -2.711676  0.222
25 H 0.718240 0.223665 -1.835406  0.200
26 H -0.998133 -1.481350 -1.599093  0.249
27 H -0.156727 -2.487400 -3.658358  0.509
28 Pt -3.313570 -5.949054 -1.372144  0.142

Cartesian forces (eV/Å) of the 2 atoms listed first:
0.279 -0.371 -0.014
0.202 0.470 -0.307

The value obtained for the LUMO energy is -8.1 eV. As for the net charge: +1. The value obtained for the frontier orbital gap is 2.563 eV.

=====

A molecular structure, C16H28AuN7OPS3. Source: the Open Molecules 2025 dataset; level of theory: the ωB97M-V functional and the def2-TZVPD basis.

Last column: Mulliken spin population.
Atoms and positions in Å:
1 Au 0.724585 -0.188137 0.001752  0.278
2 S 0.533720 1.674923 1.646755  0.524
3 C 2.171501 2.154099 1.880328  0.116
4 C 2.401894 3.169610 2.818799  -0.045
5 C 3.668306 3.640334 3.058006  0.086
6 C 4.753487 3.111242 2.349758  0.027
7 C 4.552927 2.111289 1.430267  0.010
8 C 3.267988 1.596034 1.185060  0.087
9 S 3.147332 0.279841 0.083185  0.547
10 H 1.544945 3.558175 3.345840  -0.002
11 H 3.826521 4.417528 3.791945  0.005
12 H 5.749529 3.485270 2.534678  0.003
13 H 5.380393 1.685459 0.884750  -0.002
14 N -1.262548 -2.387884 3.504276  0.001
15 C -1.003421 -1.545992 2.480126  -0.009
16 N -1.909397 -0.563995 2.281060  0.004
17 O -0.044814 -1.743610 1.730299  0.017
18 H -2.028230 -2.236679 4.137354  0.000
19 H -0.592364 -3.095300 3.744856  -0.001
20 H -2.564741 -0.321409 3.003514  0.001
21 H -1.662979 0.160205 1.626716  0.010
22 C -3.115795 0.856069 -3.642009  0.000
23 N -3.712509 0.651519 -2.330394  0.009
24 C -4.018915 1.939703 -1.726402  0.000
25 N -2.858625 2.812303 -1.651134  0.006
26 C -2.284145 2.975235 -2.977278  0.000

## Here it is
1